Your job: repeat the whole of the listing further down verbatim.

<<<
The following is a DFT calculation (ωB97M-V/def2-TZVPD) of 5 unconnected molecules or ions with the total composition C37H99FN13O7P4S.

orbital gap	0.244	Ha
total charge	+1
calculated total energy	-4570.68594	Ha
highest occupied orbital energy	-9.32	eV

```
162
Properties=species:S:1:pos:R:3:forces:R:3
C -5.766 1.768 -1.043 -0.1 0.0 -0.9
C -4.765 1.248 -2.121 -0.5 0.3 0.8
C -3.288 1.556 -1.774 -0.2 -0.5 -0.8
C -2.723 2.756 -2.564 -1.0 -0.5 -0.1
O -1.587 2.333 -3.350 0.4 0.3 0.4
C -0.366 2.795 -2.897 0.2 -1.6 -0.3
S -0.066 2.580 -1.090 0.0 1.2 1.1
C -0.262 4.300 -3.254 -0.4 0.5 0.4
N 0.922 4.630 -4.097 0.4 -0.2 -0.1
C 0.723 4.360 -5.566 0.2 0.7 -0.6
C -0.018 5.522 -6.282 -0.2 -1.1 0.1
C -1.338 4.971 -6.835 0.6 0.4 -0.1
F -1.880 5.917 -7.681 -0.2 -0.1 0.1
C 2.141 3.949 -3.581 0.2 -0.2 1.2
C 1.924 2.438 -3.395 1.5 -0.6 -1.4
O 2.684 1.818 -4.394 -0.5 -0.2 0.6
C 3.059 0.488 -3.951 0.3 -1.0 -0.2
C 3.267 -0.468 -5.138 -0.2 0.7 0.7
O 0.585 2.005 -3.583 -0.3 1.2 0.0
H -5.261 2.332 -0.258 -0.1 -0.2 0.1
H -6.342 0.933 -0.643 0.2 0.2 0.3
H -6.498 2.433 -1.512 0.1 0.0 0.2
H -5.043 1.664 -3.094 0.2 0.0 0.0
H -4.924 0.171 -2.220 0.3 0.1 0.0
H -3.153 1.630 -0.694 0.0 0.2 -0.1
H -2.720 0.682 -2.110 0.2 0.2 0.1
H -2.537 3.643 -1.952 0.3 -0.2 0.0
H -3.490 3.042 -3.290 0.3 0.1 -0.1
H 0.166 1.276 -0.813 -0.2 0.0 -0.9
H -0.254 4.935 -2.363 0.3 -0.1 0.0
H -1.148 4.598 -3.816 0.1 -0.2 0.0
H 1.084 5.632 -3.992 0.0 0.0 -0.2
H 1.723 4.293 -5.995 0.0 -0.2 0.2
H 0.241 3.391 -5.697 0.0 0.1 0.3
H -0.155 6.399 -5.640 -0.1 -0.1 -0.1
H 0.601 5.809 -7.133 -0.1 0.2 0.1
H -2.063 4.719 -6.054 0.0 0.1 -0.1
H -1.101 4.075 -7.419 -0.2 0.1 0.0
H 2.400 4.394 -2.614 -0.3 0.0 -0.1
H 3.002 4.116 -4.225 -0.3 0.0 -0.3
H 2.359 2.111 -2.444 -0.6 0.2 0.3
H 2.304 0.033 -3.300 -0.2 0.5 -0.1
H 3.969 0.571 -3.346 -0.1 0.1 -0.1
H 2.673 -0.122 -5.984 0.3 -0.1 -0.1
H 4.332 -0.529 -5.350 -0.2 -0.2 -0.4
H 2.873 -1.445 -4.856 0.3 0.0 -0.1
O 2.954 -1.977 -8.091 3.0 -1.5 1.6
P 3.362 -3.018 -9.109 -5.2 1.5 -4.6
N 3.672 -1.956 -10.440 0.6 0.2 0.2
C 3.654 -2.312 -11.848 0.2 -0.5 -0.3
C 4.723 -0.968 -10.207 0.0 0.2 0.4
N 1.799 -3.745 -9.288 -0.3 -0.1 0.3
C 1.081 -3.763 -10.549 0.3 -0.4 -0.3
C 0.851 -3.517 -8.202 0.1 0.1 0.2
N 4.108 -4.405 -9.889 1.3 -0.2 2.9
C 3.674 -5.740 -9.417 -0.3 -0.3 -0.1
C 5.583 -4.383 -9.693 0.2 0.4 -0.5
H 4.502 -2.944 -12.147 0.0 0.0 0.0
H 3.703 -1.405 -12.455 0.1 0.1 0.2
H 2.738 -2.805 -12.152 0.1 -0.1 0.2
H 5.728 -1.384 -10.361 0.0 0.1 -0.1
H 4.679 -0.581 -9.189 -0.1 -0.1 0.0
H 4.610 -0.114 -10.878 -0.1 -0.1 -0.1
H 0.816 -2.754 -10.889 0.0 0.0 -0.1
H 0.157 -4.338 -10.452 0.0 0.1 0.2
H 1.650 -4.278 -11.325 0.1 0.1 0.0
H 0.384 -2.526 -8.261 0.0 0.0 0.1
H 1.335 -3.613 -7.232 0.0 0.1 0.0
H 0.060 -4.271 -8.231 0.1 0.0 -0.2
H 3.760 -5.841 -8.332 0.0 -0.1 0.0
H 4.289 -6.511 -9.886 0.2 0.2 0.0
H 2.653 -5.964 -9.705 -0.1 0.3 0.1
H 5.853 -4.425 -8.635 0.1 -0.1 0.0
H 6.024 -3.481 -10.120 -0.1 0.1 0.0
H 6.049 -5.225 -10.203 -0.1 0.0 0.0
O -3.909 1.401 3.680 0.3 3.2 -1.9
P -2.456 1.772 3.868 1.6 -5.9 3.8
N -1.747 0.425 3.030 0.0 0.2 -0.5
C -0.398 -0.076 3.216 0.4 0.2 0.0
C -2.112 0.292 1.630 -0.6 0.0 -0.1
N -2.389 1.518 5.572 -0.2 0.2 0.2
C -1.520 0.531 6.188 0.6 0.2 0.0
C -3.665 1.536 6.288 -0.3 0.1 -0.1
N -0.924 2.638 3.922 -1.8 2.5 -1.1
C -0.775 3.653 4.991 0.1 0.0 0.5
C -0.684 3.385 2.658 0.2 -0.5 -0.3
H 0.375 0.596 2.811 0.0 0.0 0.0
H -0.289 -1.036 2.702 -0.2 0.1 -0.1
H -0.159 -0.284 4.253 -0.1 0.2 0.0
H -1.527 0.962 0.980 0.1 -0.1 -0.1
H -3.165 0.527 1.467 0.0 0.0 0.2
H -1.959 -0.733 1.285 0.1 0.0 0.1
H -1.788 -0.493 5.897 0.1 0.0 0.0
H -1.584 0.597 7.276 -0.2 0.1 0.0
H -0.469 0.719 5.956 0.0 -0.1 -0.2
H -4.209 0.591 6.182 -0.1 0.0 0.0
H -4.302 2.344 5.934 0.0 -0.1 -0.1
H -3.500 1.715 7.352 0.2 -0.1 0.0
H -1.598 4.372 4.993 0.1 0.1 0.0
H 0.161 4.199 4.850 0.0 0.0 -0.3
H -0.708 3.203 5.975 -0.2 -0.2 -0.1
H -1.459 4.138 2.482 0.1 0.1 0.0
H -0.663 2.723 1.793 -0.1 -0.2 0.1
H 0.284 3.884 2.687 0.0 0.0 0.1
O 4.161 -2.085 -1.774 -2.5 -1.1 -2.5
P 3.552 -3.288 -1.085 3.9 0.6 5.8
>>>

The following is a DFT calculation (ωB97M-V/def2-TZVPD) of 5 unconnected molecules or ions with the total composition C37H99FN13O7P4S.

orbital gap	0.244	Ha
total charge	+1
calculated total energy	-4570.68594	Ha
highest occupied orbital energy	-9.32	eV

```
162
Properties=species:S:1:pos:R:3:forces:R:3
C -5.766 1.768 -1.043 -0.1 0.0 -0.9
C -4.765 1.248 -2.121 -0.5 0.3 0.8
C -3.288 1.556 -1.774 -0.2 -0.5 -0.8
C -2.723 2.756 -2.564 -1.0 -0.5 -0.1
O -1.587 2.333 -3.350 0.4 0.3 0.4
C -0.366 2.795 -2.897 0.2 -1.6 -0.3
S -0.066 2.580 -1.090 0.0 1.2 1.1
C -0.262 4.300 -3.254 -0.4 0.5 0.4
N 0.922 4.630 -4.097 0.4 -0.2 -0.1
C 0.723 4.360 -5.566 0.2 0.7 -0.6
C -0.018 5.522 -6.282 -0.2 -1.1 0.1
C -1.338 4.971 -6.835 0.6 0.4 -0.1
F -1.880 5.917 -7.681 -0.2 -0.1 0.1
C 2.141 3.949 -3.581 0.2 -0.2 1.2
C 1.924 2.438 -3.395 1.5 -0.6 -1.4
O 2.684 1.818 -4.394 -0.5 -0.2 0.6
C 3.059 0.488 -3.951 0.3 -1.0 -0.2
C 3.267 -0.468 -5.138 -0.2 0.7 0.7
O 0.585 2.005 -3.583 -0.3 1.2 0.0
H -5.261 2.332 -0.258 -0.1 -0.2 0.1
H -6.342 0.933 -0.643 0.2 0.2 0.3
H -6.498 2.433 -1.512 0.1 0.0 0.2
H -5.043 1.664 -3.094 0.2 0.0 0.0
H -4.924 0.171 -2.220 0.3 0.1 0.0
H -3.153 1.630 -0.694 0.0 0.2 -0.1
H -2.720 0.682 -2.110 0.2 0.2 0.1
H -2.537 3.643 -1.952 0.3 -0.2 0.0
H -3.490 3.042 -3.290 0.3 0.1 -0.1
H 0.166 1.276 -0.813 -0.2 0.0 -0.9
H -0.254 4.935 -2.363 0.3 -0.1 0.0
H -1.148 4.598 -3.816 0.1 -0.2 0.0
H 1.084 5.632 -3.992 0.0 0.0 -0.2
H 1.723 4.293 -5.995 0.0 -0.2 0.2
H 0.241 3.391 -5.697 0.0 0.1 0.3
H -0.155 6.399 -5.640 -0.1 -0.1 -0.1
H 0.601 5.809 -7.133 -0.1 0.2 0.1
H -2.063 4.719 -6.054 0.0 0.1 -0.1
H -1.101 4.075 -7.419 -0.2 0.1 0.0
H 2.400 4.394 -2.614 -0.3 0.0 -0.1
H 3.002 4.116 -4.225 -0.3 0.0 -0.3
H 2.359 2.111 -2.444 -0.6 0.2 0.3
H 2.304 0.033 -3.300 -0.2 0.5 -0.1
H 3.969 0.571 -3.346 -0.1 0.1 -0.1
H 2.673 -0.122 -5.984 0.3 -0.1 -0.1
H 4.332 -0.529 -5.350 -0.2 -0.2 -0.4
H 2.873 -1.445 -4.856 0.3 0.0 -0.1
O 2.954 -1.977 -8.091 3.0 -1.5 1.6
P 3.362 -3.018 -9.109 -5.2 1.5 -4.6
N 3.672 -1.956 -10.440 0.6 0.2 0.2
C 3.654 -2.312 -11.848 0.2 -0.5 -0.3
C 4.723 -0.968 -10.207 0.0 0.2 0.4
N 1.799 -3.745 -9.288 -0.3 -0.1 0.3
C 1.081 -3.763 -10.549 0.3 -0.4 -0.3
C 0.851 -3.517 -8.202 0.1 0.1 0.2
N 4.108 -4.405 -9.889 1.3 -0.2 2.9
C 3.674 -5.740 -9.417 -0.3 -0.3 -0.1
C 5.583 -4.383 -9.693 0.2 0.4 -0.5
H 4.502 -2.944 -12.147 0.0 0.0 0.0
H 3.703 -1.405 -12.455 0.1 0.1 0.2
H 2.738 -2.805 -12.152 0.1 -0.1 0.2
H 5.728 -1.384 -10.361 0.0 0.1 -0.1
H 4.679 -0.581 -9.189 -0.1 -0.1 0.0
H 4.610 -0.114 -10.878 -0.1 -0.1 -0.1
H 0.816 -2.754 -10.889 0.0 0.0 -0.1
H 0.157 -4.338 -10.452 0.0 0.1 0.2
H 1.650 -4.278 -11.325 0.1 0.1 0.0
H 0.384 -2.526 -8.261 0.0 0.0 0.1
H 1.335 -3.613 -7.232 0.0 0.1 0.0
H 0.060 -4.271 -8.231 0.1 0.0 -0.2
H 3.760 -5.841 -8.332 0.0 -0.1 0.0
H 4.289 -6.511 -9.886 0.2 0.2 0.0
H 2.653 -5.964 -9.705 -0.1 0.3 0.1
H 5.853 -4.425 -8.635 0.1 -0.1 0.0
H 6.024 -3.481 -10.120 -0.1 0.1 0.0
H 6.049 -5.225 -10.203 -0.1 0.0 0.0
O -3.909 1.401 3.680 0.3 3.2 -1.9
P -2.456 1.772 3.868 1.6 -5.9 3.8
N -1.747 0.425 3.030 0.0 0.2 -0.5
C -0.398 -0.076 3.216 0.4 0.2 0.0
C -2.112 0.292 1.630 -0.6 0.0 -0.1
N -2.389 1.518 5.572 -0.2 0.2 0.2
C -1.520 0.531 6.188 0.6 0.2 0.0
C -3.665 1.536 6.288 -0.3 0.1 -0.1
N -0.924 2.638 3.922 -1.8 2.5 -1.1
C -0.775 3.653 4.991 0.1 0.0 0.5
C -0.684 3.385 2.658 0.2 -0.5 -0.3
H 0.375 0.596 2.811 0.0 0.0 0.0
H -0.289 -1.036 2.702 -0.2 0.1 -0.1
H -0.159 -0.284 4.253 -0.1 0.2 0.0
H -1.527 0.962 0.980 0.1 -0.1 -0.1
H -3.165 0.527 1.467 0.0 0.0 0.2
H -1.959 -0.733 1.285 0.1 0.0 0.1
H -1.788 -0.493 5.897 0.1 0.0 0.0
H -1.584 0.597 7.276 -0.2 0.1 0.0
H -0.469 0.719 5.956 0.0 -0.1 -0.2
H -4.209 0.591 6.182 -0.1 0.0 0.0
H -4.302 2.344 5.934 0.0 -0.1 -0.1
H -3.500 1.715 7.352 0.2 -0.1 0.0
H -1.598 4.372 4.993 0.1 0.1 0.0
H 0.161 4.199 4.850 0.0 0.0 -0.3
H -0.708 3.203 5.975 -0.2 -0.2 -0.1
H -1.459 4.138 2.482 0.1 0.1 0.0
H -0.663 2.723 1.793 -0.1 -0.2 0.1
H 0.284 3.884 2.687 0.0 0.0 0.1
O 4.161 -2.085 -1.774 -2.5 -1.1 -2.5
P 3.552 -3.288 -1.085 3.9 0.6 5.8